Why hello there! Yes, I am still sewing, and no, you haven't missed a post. Since January, I have:
1) Sewed a shirt for my dad, which I forgot to take pictures of. The same Hawaiian-style shirt, in a nice olive green striped fabric he picked out. My first time sewing with stripes! I forgot to pay attention to the stripes for the most part, but I did perfectly match the pocket.
2) Tried once again to fit the dress that I've being trying to fit for a couple of years now. That's what took up most of the year (that, and abandoning sewing for a bit after that). I have finally given up. I'm not going to try again. I'm not even convinced the dress would have looked any good on me, I just wanted to sew everything in the Colette Sewing Handbook. But not that, apparently.
3) Sewed seasonally-inappropriate flannel pjs for my friend K.
She didn't say they were terrible, so I'm going to assume they fit. I have a sneaking suspicion they might be too short, but that's what fuzzy socks are for, right?
== Crystal structures from another source follow ==
-- begin --
Entry from Alexandria: a relaxed structure of Rb4Dy3PuO8 (GGA-PBE).

a b c (Å): 7.0789 7.0789 19.6906
angles (deg): 90.00 90.00 120.00
With the nearest neighbours (Å) after each atom.
Space group R-3m (No. 166, hexagonal axes)
Inequivalent atoms, fractional coordinates:
Rb: 0.0000 0.0000 0.0000  6 O 2.93
Rb: 0.0000 0.5000 0.0000  6 O 2.95-2.96
Dy: 0.0000 0.5000 0.5000  6 O 2.33-2.35
Pu: 0.0000 0.0000 0.5000  6 O 2.37
O: 0.0000 0.0000 0.2252  3 Dy 2.35
O: 0.0048 0.5024 0.7747  2 Dy 2.33, 1 Pu 2.37

Summary:
Crystal system: trigonal
N(E_F), states/eV/cell: 18.2
DFT total energy, Ha/atom: -0.2597

=====

1.
KHf3Ag | PBE | relaxed

## Properties
theoretical density: 7.735 g cm⁻³
excess energy over the best structure of this formula in the dataset: 0 kJ/mol of formula units
E_tot: -5.526 eV/atom
formation energy: 119 kJ/mol of atoms

a = 5.2717 Å, b = 5.2717 Å, c = 5.2717 Å
α = 90.00°, β = 90.00°, γ = 90.00°
Space group Pm-3m (No. 221)
One atom of each set of equivalent atoms:
K  0.0000  0.0000  0.0000 x1
Hf  0.0000  0.5000  0.5000 x3
Ag  0.5000  0.5000  0.5000 x1


2.
MgP2Se6 | PBE | relaxed

## Properties
raw formation energy: -0.222 eV per atom
theoretical density: 3.960 g cm⁻³
E_tot: -3.925 eV/atom

a = 12.8006 Å, b = 12.0236 Å, c = 6.4710 Å
α = 90.00°, β = 109.42°, γ = 90.00°
Space group C2/c (No. 15)
One atom of each set of equivalent atoms:
Mg  0.0000  0.1435  0.2500 x4
P  0.2081  0.4170  0.2595 x8
Se  0.1089  0.0761  0.6603 x8
Se  0.1280  0.2683  0.0836 x8
Se  0.1354  0.4284  0.5374 x8


3.
Sc3ZnN | PBE | relaxed

## Properties
raw formation energy: 0.014 eV per atom
theoretical density: 2.647 g cm⁻³
E_tot: -5.704 eV/atom

a = 4.1893 Å, b = 4.1893 Å, c = 7.6589 Å
α = 90.00°, β = 90.00°, γ = 90.00°
Space group P4mm (No. 99)
One atom of each set of equivalent atoms:
Sc  0.0000  0.0000  0.0000 x1
Sc  0.0000  0.5000  0.6545 x2
Zn  0.0000  0.0000  0.3742 x1
N  0.5000  0.5000  0.6154 x1


4.
La2TbY5 | PBE | relaxed

## Properties
theoretical density: 5.366 g cm⁻³
excess energy over the best structure of this formula in the dataset: 0 kJ/mol of formula units
E_tot: -5.716 eV/atom
formation energy: 13 kJ/mol of atoms

a = 5.6910 Å, b = 12.0394 Å, c = 15.9217 Å
α = 90.00°, β = 90.00°, γ = 90.00°
Space group Cmcm (No. 63)
One atom of each set of equivalent atoms:
La  0.0000  0.2154  0.1290 x8
Tb  0.0000  0.2642  0.7500 x4
Y  0.0000  0.0805  0.5915 x8
Y  0.0000  0.3835  0.5490 x8
Y  0.0000  0.4604  0.2500 x4


5.
LiTm3Sn3 | PBE | relaxed

## Properties
theoretical density: 6.622 g cm⁻³
excess energy over the best structure of this formula in the dataset: 201 kJ/mol of formula units
E_tot: -4.216 eV/atom
formation energy: -30 kJ/mol of atoms

a = 9.1402 Å, b = 9.1402 Å, c = 6.0297 Å
α = 90.00°, β = 90.00°, γ = 120.00°
Space group P6_3/m (No. 176)
One atom of each set of equivalent atoms:
Li  0.3333  0.6667  0.2500 x2
Tm  0.0348  0.3464  0.7500 x6
Sn  0.0299  0.3529  0.2500 x6


6.
TiGeTeN2 | PBE | relaxed

## Properties
-- stop --
== So much for the crystal structures ==
This is the Sewaholic Tofino pattern. I used flat piping, because I couldn't really find nice piping anywhere. Maybe I didn't know where to look. I think my pattern tracing is really going to pay off here, because I can re-use this pattern for myself or others, since I didn't cut the pattern at all.
4) Made my first repeat (for myself)!
-- The entry is interrupted by records of crystals --
<<<
# 1
Below is a geometry-optimized NdTa2O6F structure, with properties calculated at the PBEsol level.

Structure (extended XYZ):
```
20
Lattice="7.2969 0.0000 0.0000 3.6484 6.4006 -0.0055 3.6484 1.9760 6.0880" Properties=species:S:1:pos:R:3 pbc="T T T"
Nd 7.2969 4.1883 3.0412
Nd 3.6484 0.0000 0.0000
Ta 0.0000 0.0000 0.0000
Ta 3.6484 4.1883 3.0412
Ta 5.4727 3.2003 -0.0027
Ta 1.8242 3.2003 -0.0027
O 3.6484 2.6360 4.2406
O 7.2969 3.8423 0.4634
O 5.8187 1.2948 0.3406
O 5.1267 4.9130 4.1671
O 9.4671 4.9130 4.1671
O 1.4782 1.2948 0.3406
O 10.9453 5.7406 1.8419
O 7.2969 4.5343 5.6190
O 8.7751 7.0818 5.7419
O 9.4671 3.4637 1.9154
O 5.1267 3.4637 1.9154
O 13.1156 7.0818 5.7419
F 7.2969 6.2560 2.2161
F 7.2969 2.1206 3.8664
```

Computed properties:
Formation energy from raw total energies ... -3.13 eV per atom
Density ... 7.25 Mg/m³
Uncorrected energy ... -95.006 eV/f.u.


# 2
Below is a geometry-optimized Cd2TcCl structure, with properties calculated at the PBEsol level.

Structure (extended XYZ):
```
4
Lattice="-1.7485 1.1778 2.1588 -1.3935 -2.6759 0.3313 5.5702 -2.1938 5.7106" Properties=species:S:1:pos:R:3 pbc="T T T"
Cl -1.5710 -0.7491 1.2450
Tc 2.0883 -2.4349 3.0210
Cd 3.1852 -1.0101 5.2396
Cd 0.6366 -0.0059 2.6297
```

Computed properties:
Formation energy from raw total energies ... 0.17 eV per atom
Density ... 7.85 Mg/m³
Uncorrected energy ... -15.000 eV/f.u.


# 3
Below is a geometry-optimized YZn2P2 structure, with properties calculated at the PBEsol level.

Structure (extended XYZ):
```
5
Lattice="-1.5423 -3.7196 -0.1746 2.0922 1.4626 -3.1190 5.3715 -2.3448 2.5037" Properties=species:S:1:pos:R:3 pbc="T T T"
Y 0.0000 0.0000 0.0000
P 4.8438 -1.9948 -0.2903
P 1.0777 -2.6070 -0.4996
Zn 2.7731 -1.0909 -1.2555
Zn 3.1483 -3.5109 0.4656
```

Computed properties:
DFT formation energy ... -696 meV/atom
Density ... 5.22 Mg/m³
Uncorrected energy ... -25.051 eV/f.u.


# 4
Below is a geometry-optimized SrTa2P structure, with properties calculated at the PBEsol level.

Structure (extended XYZ):
```
4
Lattice="-0.0627 2.6541 1.9575 -3.2856 -0.2189 0.1916 0.6473 -4.4357 6.0347" Properties=species:S:1:pos:R:3 pbc="T T T"
P -1.6741 1.2176 1.0746
Sr -1.3505 -1.0003 4.0919
Ta 0.5400 -3.7004 5.0343
Ta 0.1073 -0.7353 1.0003
```

Computed properties:
DFT formation energy ... 177 meV/atom
Density ... 9.76 Mg/m³
Uncorrected energy ... -32.026 eV/f.u.


# 5
Below is a geometry-optimized CoPOs2 structure, with properties calculated at the PBEsol level.

Structure (extended XYZ):
```
4
Lattice="2.7515 0.0000 0.0000 1.3757 2.3828 0.0000 1.3757 0.7943 7.7466" Properties=species:S:1:pos:R:3 pbc="T T T"
Co 0.0000 0.0000 0.0000
Os 1.3757 0.7943 2.0508
Os 4.1272 2.3828 5.6958
P 2.7515 1.5886 3.8733
```

Computed properties:
DFT formation energy ... 149 meV/atom
Density ... 15.38 Mg/m³
Uncorrected energy ... -37.365 eV/f.u.


# 6
Below is a geometry-optimized TlZnRe structure, with properties calculated at the PBEsol level.

Structure (extended XYZ):
```
3
>>>
This is another Colette Sorbetto, the freebie pattern on their website. Based on the last time I made it, I lowered the dart 1" and did a sway back adjustment that didn't seem to make a difference. But the dart placement is so much better.
The fabric has cat faces on it. Adorable, right? It's an oddly shaped remnant I bought in London. I took the decorative pleat out of the front, because I didn't think the fabric would hold that shape, and then had to add a seam in the back in order to fit the pattern on the fabric I had. I used pre-made bias tape at the neckline and armholes.
I love the shirt, and it's filling a navy-shaped hole I didn't realize I had.
5) Made another a-line cotton twill skirt. I now understand the allure of the tried-and-true pattern.
Although I did have to make some edits - this was one of the first patterns I used, and I'd cut the tissue along with the pattern. Sadly, I have gained some weight since then (very few of my me-made clothes fit right now, which is devastating) and need the next size up, which...wasn't there. So I had to add some on to all the seams. It worked just fine, except with the waistband, where I messed up somehow. There's a little fudging. If you look at the right side, I ran out of fabric for the seam allowance so I had to just finish it with an overcast stitch. Luckily I don't really ever tuck shirts in, so no-one will see it.

Funny story: I had been planning on making another Sewaholic Cambie (and I still will! I have ridiculous fabric that is calling out to be used), but I would have had to re-fit it, and I thought by the time I finished it, it would be winter. So instead I started this fairly heavy-weight skirt...and finished it while it's still summer temperatures out there. I haven't worn it yet, but I'm sure I'll wear it as much as the previous version.
Pretty topstitching.
Next on deck: another Colette Moneta in a heavy mustard yellow. Except today I felt the urge to make a shirt, so I started making the required edits to the Sewaholic Alma (FBA and swayback, for sure, and possibly a narrow shoulder? Sloped shoulder? If I can get the bust right, I'll look at the rest.) I haven't decided what fabric, but I'm going to pull something out of the stash.